## Work order
What is needed: duplicate all of the notes below with every line break kept.

## Source
-- begin --
No. 1
Here is a relaxed structure of Li13Mn3Sb2O16 from the Materials Project. Energies are from GGA+U.

Calculated values
Formation energy from the elements, meV per atom: -2111

Structure (CIF):
```
data_Li13Mn3Sb2O16
_chemical_formula_sum 'Li26 Mn6 Sb4 O32'
_space_group_name_H-M_alt 'C 1 m 1'
_space_group_IT_number 8
_space_group_name_Hall 'C -2y'
_cell_length_a 10.384
_cell_length_b 6.090
_cell_length_c 10.019
_cell_angle_alpha 90.00
_cell_angle_beta 91.21
_cell_angle_gamma 90.00
loop_
_atom_site_label
_atom_site_type_symbol
_atom_site_fract_x
_atom_site_fract_y
_atom_site_fract_z
Li1 Li 0.000 0.000 0.000
Li2 Li 0.002 0.500 0.018
Li3 Li 0.053 0.297 0.249
Li4 Li 0.056 0.000 0.757
Li5 Li 0.129 0.303 0.489
Li6 Li 0.165 0.000 0.275
Li7 Li 0.251 0.200 0.713
Li8 Li 0.346 0.500 0.696
Li9 Li 0.352 0.000 0.212
Li10 Li 0.497 0.500 0.521
Mn1 Mn 0.255 0.252 0.982
Mn2 Mn 0.346 0.000 0.481
Sb1 Sb 0.020 0.500 0.745
Sb2 Sb 0.329 0.500 0.247
O1 O 0.097 0.257 0.863
O2 O 0.165 0.500 0.132
O3 O 0.175 0.500 0.635
O4 O 0.184 0.000 0.581
O5 O 0.187 0.000 0.079
O6 O 0.256 0.247 0.350
O7 O 0.328 0.500 0.888
O8 O 0.356 0.000 0.854
O9 O 0.402 0.266 0.115
O10 O 0.434 0.238 0.630
O11 O 0.496 0.000 0.379
O12 O 0.499 0.500 0.334
```

No. 2
Here is a relaxed structure of VOF from the Materials Project. Energies are from GGA+U.

Calculated values
Formation energy from the elements, meV per atom: -2695

Structure (CIF):
```
data_VOF
_chemical_formula_sum 'V16 O16 F16'
_space_group_name_H-M_alt 'C 1 2 1'
_space_group_IT_number 5
_space_group_name_Hall 'C 2y'
_cell_length_a 6.674
_cell_length_b 6.694
_cell_length_c 12.510
_cell_angle_alpha 90.00
_cell_angle_beta 90.06
_cell_angle_gamma 90.00
loop_
_atom_site_label
_atom_site_type_symbol
_atom_site_fract_x
_atom_site_fract_y
_atom_site_fract_z
V1 V 0.000 0.000 0.000
V2 V 0.000 0.050 0.500
V3 V 0.000 0.995 0.251
V4 V 0.029 0.521 0.625
V5 V 0.030 0.536 0.125
O1 O 0.000 0.339 0.500
O2 O 0.000 0.707 0.252
O3 O 0.000 0.715 0.000
O4 O 0.182 0.022 0.375
O5 O 0.184 0.019 0.875
F1 F 0.000 0.321 0.000
F2 F 0.000 0.729 0.500
F3 F 0.001 0.315 0.751
F4 F 0.209 0.021 0.625
F5 F 0.211 0.010 0.125
```

No. 3
Here is a relaxed structure of MgAl4Cr2O10 from the Materials Project. Energies are from GGA+U.

Calculated values
Excess energy over the best structure of this formula in the dataset, meV per atom: 70
Formation energy from the elements, meV per atom: -2897

Structure (CIF):
```
data_MgAl4Cr2O10
_chemical_formula_sum 'Mg2 Al8 Cr4 O20'
_space_group_name_H-M_alt 'C 1 2/m 1'
_space_group_IT_number 12
_space_group_name_Hall '-C 2y'
_cell_length_a 9.632
_cell_length_b 3.680
_cell_length_c 10.300
_cell_angle_alpha 90.00
_cell_angle_beta 97.13
_cell_angle_gamma 90.00
loop_
_atom_site_label
_atom_site_type_symbol
_atom_site_fract_x
_atom_site_fract_y
_atom_site_fract_z
Mg1 Mg 0.000 0.000 0.000
Al1 Al 0.143 0.500 0.548
Al2 Al 0.180 0.500 0.898
Cr1 Cr 0.156 0.500 0.267
O1 O 0.008 0.500 0.120
O2 O 0.027 0.500 0.390
O3 O 0.195 0.000 0.937
O4 O 0.201 0.000 0.567
O5 O 0.228 0.000 0.246
```
-- stop --

## Outcome
No. 1
Here is a relaxed structure of Li13Mn3Sb2O16 from the Materials Project. Energies are from GGA+U.

Calculated values
Formation energy from the elements, meV per atom: -2111

Structure (CIF):
```
data_Li13Mn3Sb2O16
_chemical_formula_sum 'Li26 Mn6 Sb4 O32'
_space_group_name_H-M_alt 'C 1 m 1'
_space_group_IT_number 8
_space_group_name_Hall 'C -2y'
_cell_length_a 10.384
_cell_length_b 6.090
_cell_length_c 10.019
_cell_angle_alpha 90.00
_cell_angle_beta 91.21
_cell_angle_gamma 90.00
loop_
_atom_site_label
_atom_site_type_symbol
_atom_site_fract_x
_atom_site_fract_y
_atom_site_fract_z
Li1 Li 0.000 0.000 0.000
Li2 Li 0.002 0.500 0.018
Li3 Li 0.053 0.297 0.249
Li4 Li 0.056 0.000 0.757
Li5 Li 0.129 0.303 0.489
Li6 Li 0.165 0.000 0.275
Li7 Li 0.251 0.200 0.713
Li8 Li 0.346 0.500 0.696
Li9 Li 0.352 0.000 0.212
Li10 Li 0.497 0.500 0.521
Mn1 Mn 0.255 0.252 0.982
Mn2 Mn 0.346 0.000 0.481
Sb1 Sb 0.020 0.500 0.745
Sb2 Sb 0.329 0.500 0.247
O1 O 0.097 0.257 0.863
O2 O 0.165 0.500 0.132
O3 O 0.175 0.500 0.635
O4 O 0.184 0.000 0.581
O5 O 0.187 0.000 0.079
O6 O 0.256 0.247 0.350
O7 O 0.328 0.500 0.888
O8 O 0.356 0.000 0.854
O9 O 0.402 0.266 0.115
O10 O 0.434 0.238 0.630
O11 O 0.496 0.000 0.379
O12 O 0.499 0.500 0.334
```

No. 2
Here is a relaxed structure of VOF from the Materials Project. Energies are from GGA+U.

Calculated values
Formation energy from the elements, meV per atom: -2695

Structure (CIF):
```
data_VOF
_chemical_formula_sum 'V16 O16 F16'
_space_group_name_H-M_alt 'C 1 2 1'
_space_group_IT_number 5
_space_group_name_Hall 'C 2y'
_cell_length_a 6.674
_cell_length_b 6.694
_cell_length_c 12.510
_cell_angle_alpha 90.00
_cell_angle_beta 90.06
_cell_angle_gamma 90.00
loop_
_atom_site_label
_atom_site_type_symbol
_atom_site_fract_x
_atom_site_fract_y
_atom_site_fract_z
V1 V 0.000 0.000 0.000
V2 V 0.000 0.050 0.500
V3 V 0.000 0.995 0.251
V4 V 0.029 0.521 0.625
V5 V 0.030 0.536 0.125
O1 O 0.000 0.339 0.500
O2 O 0.000 0.707 0.252
O3 O 0.000 0.715 0.000
O4 O 0.182 0.022 0.375
O5 O 0.184 0.019 0.875
F1 F 0.000 0.321 0.000
F2 F 0.000 0.729 0.500
F3 F 0.001 0.315 0.751
F4 F 0.209 0.021 0.625
F5 F 0.211 0.010 0.125
```

No. 3
Here is a relaxed structure of MgAl4Cr2O10 from the Materials Project. Energies are from GGA+U.

Calculated values
Excess energy over the best structure of this formula in the dataset, meV per atom: 70
Formation energy from the elements, meV per atom: -2897

Structure (CIF):
```
data_MgAl4Cr2O10
_chemical_formula_sum 'Mg2 Al8 Cr4 O20'
_space_group_name_H-M_alt 'C 1 2/m 1'
_space_group_IT_number 12
_space_group_name_Hall '-C 2y'
_cell_length_a 9.632
_cell_length_b 3.680
_cell_length_c 10.300
_cell_angle_alpha 90.00
_cell_angle_beta 97.13
_cell_angle_gamma 90.00
loop_
_atom_site_label
_atom_site_type_symbol
_atom_site_fract_x
_atom_site_fract_y
_atom_site_fract_z
Mg1 Mg 0.000 0.000 0.000
Al1 Al 0.143 0.500 0.548
Al2 Al 0.180 0.500 0.898
Cr1 Cr 0.156 0.500 0.267
O1 O 0.008 0.500 0.120
O2 O 0.027 0.500 0.390
O3 O 0.195 0.000 0.937
O4 O 0.201 0.000 0.567
O5 O 0.228 0.000 0.246
```